== Activity ==
What is needed: find "-3.2539 -3.3137" and "0.2175 0.6770" in the material further below, and duplicate these two lines and those between.

== Given ==
____________
Diffraction record for EuCuW2O8. The X-ray powder pattern is simulated, not measured: it uses the PBE+U geometry in Alexandria and Cu Ka.
Intensities are scaled so that the largest is 100.

The 10 most intense peaks (10 to 80 degrees two-theta), low angle first:
two_theta  d [Å]  Rel. int.  h k l
14.34  6.175  44.9  1 0 -1
21.64  4.106  32.7  1 1 0
24.01  3.706  35.4  0 1 1
25.35  3.514  23.8  1 0 -2
27.28  3.269  42.5  1 -2 0
27.70  3.220  50.5  2 0 0
27.99  3.187  19.7  2 1 -1
28.91  3.088  100.0  0 2 -2
33.82  2.650  25.0  2 -2 0
35.06  2.559  29.0  2 2 -2

Structural model:
```
EuCuW2O8
1.0
7.3303 0.0000 0.0000
-0.2370 7.4268 0.0000
-3.2539 -3.3137 6.1850
Eu Cu W O
2 2 4 16
direct
0.1855 0.2798 0.4639
0.8145 0.7202 0.5361
0.2175 0.6770 0.9465
0.7825 0.3230 0.0535
0.2748 0.2998 0.0453
0.3529 0.8970 0.7095
0.6471 0.1030 0.2905
0.7252 0.7002 0.9547
0.0541 0.3113 0.1032
0.1492 0.9972 0.8078
0.1790 0.6406 0.5547
0.2034 0.3794 0.8308
____________

== Outcome ==
-3.2539 -3.3137 6.1850
Eu Cu W O
2 2 4 16
direct
0.1855 0.2798 0.4639
0.8145 0.7202 0.5361
0.2175 0.6770 0.9465